The top 10 graduate business schools in Europe (based on FT rankings). Financial Times European Business Schools Ranking. Know the average salary and courses offered by the schools.

Crystal structures that have nothing to do with the text =
Starting from a DFT-relaxed cell (PBE, Alexandria), the powder X-ray diffraction pattern of Ti6Nb5In4 was computed for CuKα.
Lines closer than 0.1° are merged.

Structure:
```
data_Ti6Nb5In4
_chemical_formula_sum 'Ti24 Nb20 In16'
_cell_length_a 2.9148
_cell_length_b 26.2690
_cell_length_c 14.7997
_cell_angle_alpha 90.00
_cell_angle_beta 90.00
_cell_angle_gamma 90.00
_space_group_name_H-M_alt 'C m c m'
_space_group_IT_number 63
_space_group_name_Hall '-C 2c 2'
loop_
_atom_site_label
_atom_site_type_symbol
_atom_site_fract_x
_atom_site_fract_y
_atom_site_fract_z
Ti1 Ti 0.0000 0.0686 0.0856
Ti2 Ti 0.0000 0.0950 0.7500
Ti3 Ti 0.0000 0.2658 0.0795
Ti4 Ti 0.0000 0.3947 0.7500
Nb1 Nb 0.0000 0.0158 0.2500
Nb2 Nb 0.0000 0.1395 0.5816
Nb3 Nb 0.0000 0.2028 0.2500
Nb4 Nb 0.0000 0.3116 0.2500
In1 In 0.0000 0.3325 0.5857
In2 In 0.0000 0.4636 0.0917
```

Largest 10 diffraction maxima, most intense first, 2θ = 15–90°:
(1 5 3), 2θ 39.81, 2.264 Å, rel. 100; (0 0 6), 2θ 36.42, 2.467 Å, rel. 89; (0 10 3), 2θ 38.84, 2.319 Å, rel. 73; (1 5 1), 2θ 35.75, 2.512 Å, rel. 42; (0 10 2), 2θ 36.29, 2.476 Å, rel. 36; (2 0 6), 2θ 75.79, 1.255 Å, rel. 27; (1 5 2), 2θ 37.30, 2.411 Å, rel. 27; (0 10 4), 2θ 42.19, 2.142 Å, rel. 26; (0 0 12), 2θ 77.35, 1.234 Å, rel. 26; (0 6 0), 2θ 20.28, 4.378 Å, rel. 25

* * * * *

Diffraction record for Co5Re. The powder diffractogram is calculated, not measured: it uses DFT lattice parameters and positions (PBE) and copper Kα.
Peak positions follow from Bragg's law for the DFT cell and can differ from measured ones.

```
Co5Re
1.0
2.3062 -4.1882 0.0000
2.3062 4.1882 0.0000
0.0000 0.0000 7.4093
Co Re
10 2
Direct
0.0000 0.0000 0.0000 Co
0.0000 0.0000 0.5000 Co
0.1798 0.3360 0.2500 Co
0.3220 0.6780 0.5748 Co
0.3220 0.6780 0.9252 Co
0.3360 0.1798 0.7500 Co
0.6640 0.8202 0.2500 Co
0.6780 0.3220 0.0748 Co
0.6780 0.3220 0.4252 Co
0.8202 0.6640 0.7500 Co
0.1823 0.8177 0.2500 Re
0.8177 0.1823 0.7500 Re
```

Most intense lines, 15 to 90 degrees two-theta, in order of falling intensity:
- 2θ = 45.2°, rel. 100
- 2θ = 42.9°, rel. 95
- 2θ = 46.6°, rel. 77
- 2θ = 25.1°, rel. 70
- 2θ = 45.0°, rel. 65
- 2θ = 24.0°, rel. 41
- 2θ = 80.4°, rel. 35
- 2θ = 51.5°, rel. 30
- 2θ = 39.1°, rel. 24
- 2θ = 49.2°, rel. 22
The text goes on =

Table of Contents

Inserted here: materials data:
~~~
# 1
The following is a computed powder X-ray diffraction pattern of NaSr3Rh. It was derived from a crystal structure in Alexandria, relaxed with GGA-PBE, using CuKα.
No peak broadening, texture or thermal motion is included.

Top 12 peaks for 10 to 90 degrees two-theta, most intense first:
2theta  d [Å]  intensity
29.4  3.037  100
32.1  2.790  97
27.7  3.222  94
49.0  1.860  83
19.5  4.556  82
40.8  2.210  76
37.8  2.379  44
18.6  4.759  41
71.8  1.315  36
44.1  2.055  33
33.6  2.668  30
37.4  2.407  26

Cell and atoms:
Lattice parameters (Å, degrees): 11.1604 11.1604 11.1604 60.00 60.00 60.00
Fractional coordinates of all 20 atoms:
Na  0.0000  0.0000  0.0000
Na  0.0000  0.0000  0.5000
Na  0.0000  0.5000  0.0000
Na  0.5000  0.0000  0.0000
Sr  0.1877  0.1877  0.5623
Sr  0.1877  0.5623  0.1877
Sr  0.1877  0.5623  0.5623
Sr  0.4377  0.4377  0.8123
Sr  0.4377  0.8123  0.4377
Sr  0.4377  0.8123  0.8123
Sr  0.5623  0.1877  0.1877
Sr  0.5623  0.1877  0.5623
Sr  0.5623  0.5623  0.1877
Sr  0.8123  0.4377  0.4377
Sr  0.8123  0.4377  0.8123
Sr  0.8123  0.8123  0.4377
Rh  0.0000  0.5000  0.5000
Rh  0.5000  0.0000  0.5000
Rh  0.5000  0.5000  0.0000
Rh  0.5000  0.5000  0.5000

=====

# 2
The following is a computed powder X-ray diffraction pattern of Na16Tl12Rh. It was derived from a crystal structure in Alexandria, relaxed with GGA-PBE, using CuKα.
No peak broadening, texture or thermal motion is included.

Top 12 peaks for 10 to 90 degrees two-theta, most intense first:
2theta  d [Å]  intensity
18.3  4.835  100
17.9  4.968  68
32.0  2.801  53
35.8  2.510  51
35.5  2.528  49
18.5  4.795  43
32.3  2.775  37
34.5  2.603  35
39.0  2.307  33
26.2  3.404  32
38.4  2.346  31
31.5  2.842  23

Cell and atoms:
Lattice parameters (Å, degrees): 10.2135 10.2135 10.2242 108.82 108.82 108.55
Fractional coordinates of all 29 atoms:
Na  0.0000  0.0000  0.0000
Na  0.0004  0.5803  0.3743
Na  0.0308  0.2616  0.7314
Na  0.1574  0.8801  0.2692
Na  0.2433  0.5891  0.6987
Na  0.2616  0.0308  0.7314
Na  0.2815  0.6013  0.1202
Na  0.3019  0.9146  0.9949
Na  0.5803  0.0004  0.3743
Na  0.5846  0.5846  0.3413
Na  0.5891  0.2433  0.6987
Na  0.6013  0.2815  0.1202
Na  0.6112  0.6112  0.7213
Na  0.8801  0.1574  0.2692
Na  0.8957  0.8957  0.4080
Na  0.9146  0.3019  0.9949
Tl  0.2203  0.4154  0.3183
Tl  0.2299  0.2299  0.5230
Tl  0.3739  0.8032  0.5121
Tl  0.4047  0.4047  0.9146
Tl  0.4154  0.2203  0.3183
Tl  0.5867  0.7833  0.0716
Tl  0.5905  0.9766  0.8829
Tl  0.7516  0.9478  0.6611
Tl  0.7833  0.5867  0.0716
Tl  0.8032  0.3739  0.5121
Tl  0.9478  0.7516  0.6611
Tl  0.9766  0.5905  0.8829
Rh  0.2876  0.2876  0.0823

=====

# 3
The following is a computed powder X-ray diffraction pattern of NaScTeRu2. It was derived from a crystal structure in Alexandria, relaxed with GGA-PBE, using CuKα.
No peak broadening, texture or thermal motion is included.

Top 12 peaks for 10 to 90 degrees two-theta, most intense first:
2theta  d [Å]  intensity
30.9  2.896  100
37.6  2.393  48
50.1  1.819  41
~~~

Best Business Schools in the World

RankBusiness SchoolCountryMBA salary today ($)Executive MBA 2008EMBA salary today ($)#Female FacultyInternational FacultyFaculty with doctorate
1HEC ParisFrance1,19,7392**2,97,224264192
2London Business SchoolUK1,44,9181***177,184 (295,224)228398
4IE Business SchoolSpain1,24,60041,66,412324989
6ESCP-EAP European School of ManagementFrance/UK/Germany/Spain/Italy91,44,260285587
7Iese Business SchoolSpain1,17,062141,48,717164399
8EM LyonFrance90,5323297,361253989
8Rotterdam School of Management, Erasmus UniversityNetherlands1,03,43912***120,304 (182,296)1532100
10Vlerick Leuven Gent Management SchoolBelgium95,754221,08,976373098

[The text is interrupted by data records]
-- begin --
(1)
CeGdGeRh: simulated X-ray powder pattern (Cu Kα, 1.54184 Å), based on the GGA-PBE geometry in Alexandria.

Structure:
Cell lengths 7.1118, 7.1118, 7.1118 Å; angles 90.00, 90.00, 90.00 degrees
Sites, in units of the cell vectors:
Ce: 0.0000 0.0000 0.0000
Ce: 0.0000 0.5000 0.5000
Ce: 0.5000 0.0000 0.5000
Ce: 0.5000 0.5000 0.0000
Gd: 0.0000 0.0000 0.5000
Gd: 0.0000 0.5000 0.0000
Gd: 0.5000 0.0000 0.0000
Gd: 0.5000 0.5000 0.5000
Ge: 0.2500 0.2500 0.2500
Ge: 0.2500 0.7500 0.7500
Ge: 0.7500 0.2500 0.7500
Ge: 0.7500 0.7500 0.2500
Rh: 0.2500 0.2500 0.7500
Rh: 0.2500 0.7500 0.2500
Rh: 0.7500 0.2500 0.2500
Rh: 0.7500 0.7500 0.7500

Largest 11 diffraction maxima, in order of falling intensity, 2θ = 10–90°:
2theta  d/Å  I (rel.)
35.71  2.514  100
64.15  1.452  36
51.39  1.778  18
86.56  1.124  16
75.64  1.257  11
25.04  3.556  7
58.00  1.590  3
44.11  2.053  2
81.14  1.185  1
21.64  4.106  1
42.14  2.144  1


(2)
LiCe2Gd: simulated X-ray powder pattern (Cu Kα, 1.54184 Å), based on the GGA-PBE geometry in Alexandria.

Structure:
Cell lengths 3.2881, 3.2881, 36.9781 Å; angles 90.00, 90.00, 120.00 degrees
Sites, in units of the cell vectors:
Li: 0.0000 0.0000 0.0000
Li: 0.3333 0.6667 0.6667
Li: 0.6667 0.3333 0.3333
Ce: 0.0000 0.0000 0.0869
Ce: 0.0000 0.0000 0.9131
Ce: 0.3333 0.6667 0.5797
Ce: 0.3333 0.6667 0.7536
Ce: 0.6667 0.3333 0.2464
Ce: 0.6667 0.3333 0.4203
Gd: 0.0000 0.0000 0.5000
Gd: 0.3333 0.6667 0.1667
Gd: 0.6667 0.3333 0.8333

Largest 12 diffraction maxima, in order of falling intensity, 2θ = 10–90°:
2theta  d/Å  I (rel.)
33.73  2.657  100
35.82  2.507  69
31.80  2.814  59
28.98  3.082  56
39.96  2.256  47
64.21  1.451  35
52.97  1.729  31
55.93  1.644  28
14.37  6.163  22
64.36  1.447  15
66.93  1.398  14
86.59  1.124  13


(3)
CePrNdGd: simulated X-ray powder pattern (Cu Kα, 1.54184 Å), based on the GGA-PBE geometry in Alexandria.

Structure:
Cell lengths 8.1794, 8.1794, 8.1794 Å; angles 90.00, 90.00, 90.00 degrees
Sites, in units of the cell vectors:
Ce: 0.0000 0.0000 0.0000
Ce: 0.0000 0.5000 0.5000
Ce: 0.5000 0.0000 0.5000
Ce: 0.5000 0.5000 0.0000
Pr: 0.2500 0.2500 0.7500
Pr: 0.2500 0.7500 0.2500
Pr: 0.7500 0.2500 0.2500
Pr: 0.7500 0.7500 0.7500
Nd: 0.0000 0.0000 0.5000
Nd: 0.0000 0.5000 0.0000
Nd: 0.5000 0.0000 0.0000
Nd: 0.5000 0.5000 0.5000
Gd: 0.2500 0.2500 0.2500
Gd: 0.2500 0.7500 0.7500
Gd: 0.7500 0.2500 0.7500
Gd: 0.7500 0.7500 0.2500

Largest 7 diffraction maxima, in order of falling intensity, 2θ = 10–90°:
2theta  d/Å  I (rel.)
30.92  2.892  100
55.00  1.670  39
89.71  1.093  21
44.30  2.045  19
73.18  1.293  17
64.44  1.446  12
81.54  1.181  4


(4)
CeGdNi4: simulated X-ray powder pattern (Cu Kα, 1.54184 Å), based on the GGA-PBE geometry in Alexandria.

Structure:
Cell lengths 5.0919, 5.0919, 5.0919 Å; angles 60.00, 60.00, 60.00 degrees
Sites, in units of the cell vectors:
Ce: 0.0000 0.0000 0.0000
Gd: 0.7500 0.7500 0.7500
Ni: 0.3750 0.3750 0.3750
Ni: 0.3750 0.3750 0.8751
Ni: 0.3750 0.8751 0.3750
Ni: 0.8751 0.3750 0.3750
-- stop --
[The data records stop here]

Financial Times European Business Schools ranking 2008

Full time global MBA 2008 The position of European schools within the FT MBA 2008 ranking.
MBA salary today ($) The average MBA salary three years after graduation in US dollars. The figure is a weighted average of the final salaries from the current and two previous years.
MBA salary increase (%) The percentage increase in average salary from the beginning of the MBA to three years after graduation. The figure is a weighted average of increases from the current and two previous years.
Executive MBA 2008 The position of European schools within the FT EMBA 2008 ranking.
EMBA salary today ($) The average EMBA salary three years after graduation in US dollars. The figure is a weighted average of the final salaries from the current and two previous years.
EMBA salary increase (%) The percentage increase in average salary from the beginning of the EMBA to three years after graduation. The figure is a weighted average of increases from the current and two previous years.
Masters in Management 2008 The position of European schools within the FT Masters in Management 2008 ranking.
Masters in Management salary today ($) An average of salaries, three years after graduation, reported by Masters in Management alumni.
Open programmes – Executive Education 2008 The position of European schools within the FT Executive Education ranking of open programmes in 2008.
Custom programmes – Executive Education 2008 The position of European schools within the FT Executive Education ranking of customised programmes in 2008.
Female faculty (%) Percentage of faculty who are women.
International faculty (%) Percentage of faculty whose citizenship differs from their country of employment.
Faculty with doctorates (%) Percentage of faculty with a doctoral degree.